Celebrities love to tell viewers and readers what they do to “stay in shape,” which often leads to fad diets and misconceptions about weight loss. Your clients, as a result, are likely going to come to you with their own ideas: what their workout routine should entail, how often they should workout, and what they should eat. You’re the certified, trained professional here, so it’s important to set your client straight, no matter how uncomfortable the conversation may be. Here are 7 myths about weight loss that you’ll have to break with your clients.

Myth 1: Higher Heart Rates Mean More Fat Burned

While it’s true that higher heart rates are correlated with weight loss, it’s not the only factor to consider. Considering heart rate alone as a sign that weight loss will follow is the real misconception here. It’s a combination of factors (heart rate, respiratory rate, intensity, duration, types of exercises, calorie intake, and so much more) that lead to weight loss, and it’s your job to help your client understand that. Follow the F.I.T.T. principle to make sure all aspects of fitness are moving in the right direction, but also remind your client that what goes into their body doesn’t just get automatically incinerated by a high heart rate.

Myth 2: Heavier Breathing Means A Better Workout

In the same way high heart rates don’t equal fat burned, high respiratory rates don’t automatically equate to improved fitness outcomes. Getting sweaty and breathless might seem a satisfying pat on the back, but if the objective of every workout is to beat the body into a pulp, not only might overtraining become a factor, but specific goals might be missed that aren’t addressed by intense cardio alone. 

Myth 3: Eating Fewer Calories Will Make You Lose Weight

You’ve heard that eating less and burning more calories equals weight loss. In a perfect world, it would absolutely work like this. But everyone and every body is different, and on top of that, not all calories are equal. Either a low-calorie diet that’s high in fructose, for example, will leave your client feeling frustrated with their results. Help them understand how different types of foods will impact their bodies.

Myth 4: If You’re Working Hard, You Will Lose Weight

Our society equates being overweight or obese with being lazy. On the flip side, it equates being fit with hard work. While it’s true that you have to work hard to get in shape, weight loss is not a linear process. There will be plateaus and time periods where your client will be busting their chops just to be met with little to no results on the scale. Help your client understand that weight loss rewards patience just as much as hard work.

Myth 5: Carbs Are Bad

We have the Atkins diet and, more recently, the keto diet to thank for this one. It’s tricky because cutting carbs does seem to correlate with initial weight loss. However, eating carbs isn’t necessarily tied to weight gain. It’s important to have your client eat whole carbs (whole grains) rather than refined carbs (white bread, pizza crust, etc.). Help them understand the difference and that carbohydrates are necessary to fuel their workouts.

**The entry is interrupted by molecular data**
/*
40
Properties=species:S:1:pos:R:3:forces:R:3 method="wB97M-V/def2-TZVPD" max_force_ev_per_a=5.03 e_above_lowest_kcal_mol=4.0 orbital_gap_ha=0.316 homo_energy_ev=-8.576 molar_mass_g_mol=386.3
H -1.523721 4.398622 -2.010912 -0.167 -0.020 -0.107
N -1.489821 4.717907 -2.974874 -0.301 0.323 0.408
C -1.359062 3.734700 -3.781043 0.190 2.307 4.468
N -1.248968 4.060146 -5.070821 -0.078 0.178 -1.898
N -1.175493 2.455812 -3.300228 -0.398 -2.508 -0.395
N -1.409901 2.128761 -1.968138 0.347 0.025 0.447
C -1.522901 0.911016 -1.507197 -0.183 1.925 -1.998
C -1.603325 -0.261506 -2.428785 0.528 -0.311 0.647
C -1.639642 0.767074 -0.036343 0.428 0.049 0.157
C -2.381863 1.727148 0.674883 -0.058 -0.537 1.494
C -2.429595 1.646243 2.098215 0.575 -0.112 -1.288
Br -3.490844 2.921652 3.111513 0.685 -0.767 -0.586
C -1.689940 0.640555 2.744106 -1.253 0.580 0.005
C -1.023468 -0.340047 2.026968 -0.173 0.330 0.105
C -0.943391 -0.261284 0.653430 -0.450 0.444 -0.006
O -0.149661 -1.212668 0.033861 0.124 0.893 -0.530
C 1.257051 -0.892963 0.097455 0.608 -1.586 -0.222
C 1.977129 -1.833520 1.098821 -1.376 0.276 -1.115
C 2.908676 -1.328506 1.978433 0.986 -0.227 0.567
C 3.522722 -2.219847 2.879757 -0.102 -0.073 0.386
C 3.145534 -3.575359 2.952656 0.461 0.830 -1.037
C 3.746103 -4.470386 3.896975 0.597 -0.206 1.058
N 4.249690 -5.110831 4.719045 -0.482 0.415 -0.817
C 2.282764 -4.061489 1.982285 -1.546 -0.255 -0.254
C 1.651037 -3.206277 1.081610 0.296 0.089 0.122
H -1.097510 5.087605 -5.119850 -0.072 -1.334 -0.215
H -0.619996 3.471051 -5.571693 0.410 0.015 -0.729
H -1.327602 1.757845 -4.009296 -0.022 -0.589 0.048
H -1.997821 0.019396 -3.386501 -0.206 0.133 -0.492
H -2.227209 -1.048171 -2.021389 -0.037 -0.132 0.123
H -0.598790 -0.659170 -2.551120 0.071 -0.264 -0.222
H -2.933758 2.495627 0.132978 0.242 -0.239 0.163
H -1.763242 0.589858 3.814178 0.121 -0.113 0.317
H -0.574899 -1.201022 2.505281 0.161 0.191 0.184
H 1.472684 0.153851 0.264585 -0.305 0.289 0.453
H 1.676020 -1.103219 -0.898174 -0.234 -0.074 0.112
H 3.201735 -0.254707 1.928508 -0.274 -1.010 0.217
H 4.291975 -1.908369 3.578735 -0.151 0.295 -0.099
H 1.941199 -5.097435 1.991529 0.414 0.153 0.064
H 0.898106 -3.638089 0.390558 0.626 0.618 0.467
*/

Myth 6: Low-Fat Foods Are Good

If you want to lose weight, that means you want to lose fat, so you should eat foods low in fat, right? Wrong! Oftentimes when manufacturers cut the fat out of milk, cheese, etc., they’re cutting out the enzymes that enable your body to process the food. And likewise, the fat is often replaced with sugar calories. Just like with carbs, there’s a difference between desirable fats and undesirable fats. Saturated and trans fats should be limited, while foods like avocados, olive oil, fish, dark chocolate, and nuts are high in polyunsaturated fats, which your body needs.

Myth 7: Being Skinny and Being Healthy Are the Same Thing

Unfortunately, our society places so much emphasis on appearances that “thin” and “healthy” have somehow become conflated, which means that many don’t consider the health consequences of certain weight loss methods. While it’s true that obesity has been linked with heart disease, stroke, and diabetes, losing too much weight too fast could cause gallstones, stroke, osteoporosis, anemia, and more. 

What other persistent myths have you found your clients adhere to?

Daniel Stein

Daniel has been involved in the fitness industry for over ten years and has owned his own private training business since 2013. His passion for health and fitness led him to get certified through NASM, NFPT, and ACSM. He also holds a specialty certification as a Certified Inclusive Fitness Trainer (CIFT) and as a Certified Autism Trainer, which allows him to train individuals with physical and intellectual disabilities. In 2013, Daniel married his beautiful wife, Trinity. A few years later, they prayerfully started Special Strong to pursue their calling of working with the special needs population. They both attend Resonate Life Church in Lucas and serve in ministry together. In his spare time, he enjoys working out, reading, and fishing.